La investigación formativa y su incidencia en el desarrollo académico y empresarial de la geomática
La investigación formativa y su incidencia en el desarrollo académico y empresarial de la geomática
Rocha Salamanca, Luz Angela
[Misplaced materials data]
No. 1
## BaMg2Ag (SCAN)

Data for a crystal of BaMg2Ag relaxed with PBEsol.

The value obtained for the formation energy is -133 meV per atom. Its density is 4.06 g/cm³.

The space group is C2/m (No. 12) and the conventional cell measures 8.300, 4.790 and 6.642 Å, with angles of 90.00, 114.46 and 90.00 degrees. The inequivalent atoms are Ba at (0.000, 0.000, 0.000), Mg at (0.199, 0.000, 0.598) and Ag at (0.000, 0.500, 0.500).

=====

No. 2
## Ba2MgAg (SCAN)

Data for a crystal of Ba2MgAg relaxed with PBEsol.

The value obtained for the formation energy is -155 meV per atom. Its density is 4.05 g/cm³.

The space group is R3m (No. 160, hexagonal axes) and the conventional cell measures 4.8255, 4.8255 and 24.8390 Å, with angles of 90.00, 90.00 and 120.00 degrees. The inequivalent atoms are Ba at (0.0000, 0.0000, 0.0000), Ba at (0.0000, 0.0000, 0.1799), Mg at (0.0000, 0.0000, 0.7567) and Ag at (0.0000, 0.0000, 0.4233).

=====

No. 3
## BaMg2Ag2 (SCAN)

Data for a crystal of BaMg2Ag2 relaxed with PBEsol.

The value obtained for the formation energy is -192 meV per atom. Its density is 5.03 g/cm³.

The space group is I4/mmm (No. 139) and the conventional cell measures 5.025, 5.025 and 10.501 Å, with angles of 90.00, 90.00 and 90.00 degrees. The inequivalent atoms are Ba at (0.000, 0.000, 0.000), Mg at (0.000, 0.000, 0.355) and Ag at (0.000, 0.500, 0.250).

=====

No. 4
## Ba2MgAg (SCAN)

Data for a crystal of Ba2MgAg relaxed with PBEsol.

The value obtained for the formation energy is -86 meV per atom. Its density is 4.73 g/cm³.

The space group is P4mm (No. 99) and the conventional cell measures 3.883, 3.883 and 9.461 Å, with angles of 90.00, 90.00 and 90.00 degrees. The inequivalent atoms are Ba at (0.000, 0.000, 0.000), Ba at (0.500, 0.500, 0.388), Mg at (0.000, 0.000, 0.645) and Ag at (0.500, 0.500, 0.764).

=====

No. 5
## Ba2MgAg (SCAN)

Data for a crystal of Ba2MgAg relaxed with PBEsol.

The value obtained for the formation energy is -130 meV per atom. Its density is 4.72 g/cm³.

The space group is P4/mmm (No. 123) and the conventional cell measures 4.064, 4.064 and 8.659 Å, with angles of 90.00, 90.00 and 90.00 degrees. The inequivalent atoms are Ba at (0.000, 0.000, 0.226), Mg at (0.500, 0.500, 0.500) and Ag at (0.500, 0.500, 0.000).

=====

No. 6
## BaMgZrAg2 (SCAN)

Data for a crystal of BaMgZrAg2 relaxed with PBEsol.

The value obtained for the formation energy is 887 meV per atom. Its density is 5.69 g/cm³.

The space group is P4/mmm (No. 123) and the conventional cell measures 4.932, 4.932 and 5.619 Å, with angles of 90.00, 90.00 and 90.00 degrees. The inequivalent atoms are Ba at (0.000, 0.000, 0.000), Mg at (0.000, 0.000, 0.500), Zr at (0.500, 0.500, 0.000) and Ag at (0.000, 0.500, 0.500).

=====

No. 7
## BaMnAg2 (SCAN)

Data for a crystal of BaMnAg2 relaxed with PBEsol.

The value obtained for the formation energy is 248 meV per atom. Its density is 7.28 g/cm³.
Datos de publicación:
Geomática - Investigación formativa - Educación superior - Semilleros de investigación
Uno de los elementos importantes que se han incorporado en los programas de educación superior en Colombia, es el enfoque hacia la investigación formativa, la cual tiene como objetivo sembrar la semilla de investigadores en los estudiantes de educación superior. En ese sentido la Universidad Distrital Francisco José de Caldas de la ciudad de Bogotá, a través de su programa de Ingeniería Catastral y Geodesia ha venido trabajando arduamente en la consolidación de la investigación dentro del programa. Es así como sus grupos de investigación han promovido la creación de los semilleros de investigación los cuales son los encargados de generar la conciencia investigativa en los estudiantes es decir lo que se llama en el ámbito académico la investigación formativa. Es así como en el ámbito de la Geomática el grupo de investigación NIDE (Núcleo de investigación en datos espaciales) tiene adscrito cinco semilleros los cuales desde el año 2007 trabajan para familiarizar a los estudiantes con los procesos de investigación generando proyectos que permitan afianzar los conceptos en los temas relacionados con las ciencias de la información geográfica. Durante estos 10 años gracias a los semilleros de investigación, se han generado proyectos y tesis de grado que permiten ver el avance de los estudiantes en el uso de las herramientas geo-tecnológicas, basados en un conjunto de elementos conceptuales y técnicos que permiten mejorar los procesos de enseñanza – aprendizaje en Sistemas de Información Geográfica y Percepción Remota. De la misma forma el concepto de los semilleros de investigación ha dado el salto de la comunidad académica a la empresarial, ya que algunas empresas distribuidoras de software han incorporado en sus procesos de desarrollo, semilleros donde los estudiantes trabajan y aportan en la generación de aplicaciones y transferencia de conocimientos, lo que ha permitido mejorar los tiempos y la calidad de los servicios. El objetivo de este artículo, es entonces, mostrar la importancia de la creación de semilleros de investigación y el aporte investigativo de éstos no sólo en la parte académica sino también empresarial
One of the most important features that have been incorporated at the programs of higher education in Colombia, is the approach to formative research, which aims to sow seeds of researchers in undergraduate students. The Universidad Distrital, through the Geodesy and Cadastral engineering program, has been working hard on the consolidation of the research inside the program. Therefore, their research groups have promoted the creation of the research seeds, which are responsible for generating consciousness of research knowledge in students, which is called academic formative research. In this way, concerning the field of Geomatics, the research group named “NIDE” has assigned five research seed groups, which since 2007 works to familiarize the students with research processes generating projects that reinforce the concepts in themes regarding geo-information sciences. During these 10 years due the effort done by the seed research groups, many projects were produced, and academic thesis, that permits appreciate the progress of students in the use of geo-technological tools, based on a set of conceptual and technical elements, that allow to improve the processes of teaching - learning in Remote Sensing and Geographic Information Systems matters. In the same way the research seed groups, have made the jump from the academic community to the business geospatial sectors, since some Geomatics companies, have incorporated in their development processes, seeds research groups, where students work and contribute in generating applications and transfer of knowledge, which allowed to improve the times and the quality of services. The objective of this article is to show the importance of the creation of research seeds groups and the contribution of these groups not only in the academic but also at the business sector
One of the most important features that have been incorporated at the programs of higher education in Colombia, is the approach to formative research, which aims to sow seeds of researchers in undergraduate students. The Universidad Distrital, through the Geodesy and Cadastral engineering program, has been working hard on the consolidation of the research inside the program. Therefore, their research groups have promoted the creation of the research seeds, which are responsible for generating consciousness of research knowledge in students, which is called academic formative research. In this way, concerning the field of Geomatics, the research group named “NIDE” has assigned five research seed groups, which since 2007 works to familiarize the students with research processes generating projects that reinforce the concepts in themes regarding geo-information sciences. During these 10 years due the effort done by the seed research groups, many projects were produced, and academic thesis, that permits appreciate the progress of students in the use of geo-technological tools, based on a set of conceptual and technical elements, that allow to improve the processes of teaching - learning in Remote Sensing and Geographic Information Systems matters. In the same way the research seed groups, have made the jump from the academic community to the business geospatial sectors, since some Geomatics companies, have incorporated in their development processes, seeds research groups, where students work and contribute in generating applications and transfer of knowledge, which allowed to improve the times and the quality of services. The objective of this article is to show the importance of the creation of research seeds groups and the contribution of these groups not only in the academic but also at the business sector